The Smile Embouchure & why it doesn't work
Why is the smile embouchure not a good thing for flute players?
This came up as a topic for discussion on one of my flute groups, and I had a great time trying to explain my "take" on it.
I put everything I knew about "Why isn't it a good idea to smile to form a flute embouchure?" here in this pdf article.
Please read the above pdf and then comment below.
Here are some reference links too:
The great book: The Illustrated fluteplayer from which comes this useful 'THIS IS THE RIGHT WAY' picture:

Also see: Nancy Toff's "The Flute Book" (free online preview here) on the embouchure instructions of Taffanel, Gaubert, Moyse and others in their books. (all agree with the ideas presented here.)
Also see: Walfrid Kujala's three part "Jaw Boning" article from 1987 (search University library periodicals or contact Flutetalk magazine).
Also see: A previous Cluff-blog reference to the Kujala "how to" article concerning the jaw and flute dynamics.
Galway video on a headjoint exercise to stop that oh so smiley embouchure :>)
Nyfenger's Music and the Flute book where he explains the jaw is configured to bite, chew and speak, and how to avoid jutting the lower jaw forward which is its weakest position.
Please comment using the button below.
Best, Jen :>)
This came up as a topic for discussion on one of my flute groups, and I had a great time trying to explain my "take" on it.
I put everything I knew about "Why isn't it a good idea to smile to form a flute embouchure?" here in this pdf article.
Please read the above pdf and then comment below.
Here are some reference links too:
The great book: The Illustrated fluteplayer from which comes this useful 'THIS IS THE RIGHT WAY' picture:
Also see: Nancy Toff's "The Flute Book" (free online preview here) on the embouchure instructions of Taffanel, Gaubert, Moyse and others in their books. (all agree with the ideas presented here.)
Also see: Walfrid Kujala's three part "Jaw Boning" article from 1987 (search University library periodicals or contact Flutetalk magazine).
Also see: A previous Cluff-blog reference to the Kujala "how to" article concerning the jaw and flute dynamics.
Galway video on a headjoint exercise to stop that oh so smiley embouchure :>)
Nyfenger's Music and the Flute book where he explains the jaw is configured to bite, chew and speak, and how to avoid jutting the lower jaw forward which is its weakest position.
Please comment using the button below.
Best, Jen :>)
Comments (21)
Hi Jen,
I’ve a bit of a dilemma with this – both my flute teachers have told me to smile and/or push my jaw forward for high notes. I’ve been learning for 2 ½ years, whereas both teachers have music degrees and have been playing flute for 20 years plus. I don’t doubt that you (and James Galway!) are correct, but it’s a bit tricky saying ‘actually, I read on the internet that you shouldn’t do that …’
Dear Chris,
Sorry, there's not much I can do. You could send the links for Galway's youtube embouchure video to your teacher, I guess.
Good luck.
Jen :>)
Very many thanks for this latest piece about embouchure shape, which is fascinating.
I had lessons in the 70s (as an adult) from a leading orchestral flautist, who played a wooden flute to great effect. I'm desperately trying to remember how he taught me to hold my mouth but whichever he told me I don't now use the smiling embouchure with either silver or thinwood headjoints. Incidentally, the wooden headjoint is my favourite - having a glorious rich tone.
I think you are quite right in your .pdf article when you say about it being the SIZE of blow-hole which is the deciding factor, rather than the material from which the headjoint is made. I also have an elderly (simple system) ebonite Rudall Carte flute which does have a small hole (typical C19th) and bearing in mind your comments I've just tried it using both smiling and non-smiling embouchures. Hardly a scientific test but (to my surprise) I did find the lowest notes appeared to speak more easily using a smiling aperture whereas higher up it didn't make much difference. Presumably this is because we/I tend to form a smaller (though I'll hasten to add relaxed!) embouchure for the higher registers anyway. (I probably should add that I'm only an amateur flautist.)
Can I also thank you again for your brilliant and stimulating website.
Thank YOU, David, for this info. Very interesting.
Glad to be of help and to stimulate discussion!! Jen :>)
This "Smile Embouchure" information, coupled with the jaw jutting article (and your YouTube item) are most interesting and valuable. I was mostly self-taught back in the late 1940s and the elementary book I had showed a smile method. By trial and error I found that I could improve my tone quality by opening my jaw, and I subsequently played for many years with a mostly open jaw. With the open jaw, I couldn't maintain the smile, though, and so I gravitated toward a straight embouchure and later into a frown-like lip shape. As a late-in-life returner, I still find that the open jaw gives a rich, full tone, when used in both lower and middle registers, and I suspect it will once again in the third register, after a bit more practice. If I want a shrill tone I just close the jaw and out it comes.
Great Post !!!
John G.
Dear John G.
Very very interesting!!
I think the Tom Nyfenger book showed me one great trick to the third register that helped me most when I first read his book "Music and the Flute".
Using the same idea as closing the teeth, use a vertical closure of the lower lip upward against the upper lip.
This really makes leaping into the third register super legato if combined with increasing air speed etc.
Best, and thanks so much for your positive reinforcement! Terriff! J.
Dear John G.
P.S. The method I use for the high register that I mentioned above is the same as:
However, I find it easier to raise the lower lip vertically, rather than pull the upper lip downward vertically. Try both (with open teeth, of course, for that open sound quality we love!) and tell me which works best for you. Maybe it's a mouth-shape difference, or simply a conceptual difference. Best, J.
Dear Jen,
I've got a problem because i've always used the smiling embouchure and never had it corrected until very recently by a new flute teacher. I'm a student and have done my grade 8, however, my teacher has told me that to progress further I must have the 'normal/correct' embouchure.
How can I go about changing the habits of a lifetime? My mouth just naturally forms the smiling shape and it gets very frustrating trying to do the straight embouchure as i can't even get a sound out of the flute when i try it. The James Galway embouchure video hasn't really helped as seeing someone else do it doesn't seem to be enough. Can you help me?
Dear Anon,
"To change the habit of a lifetime" does take time.
Be patient, explore, and give yourself time.
Also remember that you can experiment on the headjoint only (much easier)to establish new habits.
There's nothing more I can do by typing text; it's all about patience and exploring.
Werner Richter's book from called "Conditioning training for the embouchure" may really help.
Dear Jen,
I've actually never seen anyone play with a smile embouchure before...very curious. It is something I'll watch out for in future students though. However, I was wondering what your take on playing with a pretty severe frown was. I saw a great piccoloist for a professional orchestra play like this and it must work for her, but I'm wondering how good of a thing it is to do in general? It seems like extra muscle work whenever piccolo can be taxing enough as it is.
Thanks Jen,
Dear Caitlyn,
Thanks for your comment.
I have written a broad and open-ended response to it here:
This is an interesting thread. I've never thought about using my jaw before, I've always just played, but then this week read that both Katie Blocki and Edwin Putnik tell students to jut their jaw forward on the high notes, so I thought I had missed out on some important information! But now I see that others don't recommend that at all. I guess I'll just keep doing what I'm doing.
Hi Marcie,
Thanks for pointing that out.
Jutting causes:
- a change in tone colour
- a less stable angle of air stream
- possible strain of the jaw joints (TMJ) over time.
So good thing you're thinking about trying other ways.
Jutting can work at first for novices/beginners, but has long term problems.
Good for you.
Best, Jen
The "smile" embouchere is the method used by saxophonists who double on flute and who aren't aware that you can't play a flute the way you play a saxophone (I'm a saxophonist, and I've learned this in studying flute). Needless to say, the best saxophone/flute doublers (Eddie Daniels, James Spaulding and Sam Rivers, to name a few) have had professional instruction on the flute. I don't recall ever seeing anyone whose primary instrument was the flute playing with a "smile" embouchere.
Good points, and thanks.
I think the "smile" was more used for 1950s flute students whose lips were thicker.
Thin lipped people actually need a certain amount of "pursing" wheras those with thicker lips need more stretching and smoothing at the lip centers. Moving the corners excessively however makes the "air-reed" too long for control over the three octaves intonationally and unified in tone colour.
Exactly right.
Thanks again.
So I have thick lips and have generally played with a smile embrouchure. Is this ok because I have thick lips or should I work on changing it. Although when I do the straight jaw one it feels as if my tongue has to go into a different position and makes the part below my tongue feel very abnormal. Suggestions? Is it worth changing?
Hi Bev,
You have to consult a flute teacher in person. One can't judge embouchure from email-self-descriptions because the reader can't hear the tone quality and see what the player is doing when the tone quality improves.
So only live teaching helps answer these types of finely-detailed questions.
Best, Jen
I really appreciate Jen's recommendation of the book, "Conditioning Training for the Flute Embouchure." I do have one burning question about embouchure...
Can Jen or anyone else who cares to chime in describe HOW my embouchure--my mouth, jaw and lips--can remain dynamically relaxed, rather than getting stiffer and stiffer as the phrase goes on. Once I take a breath, I can regain a sense of being relaxed enough to feel a very good embouchure forming, however when I get stiff as the phrase progresses, of course, my embouchure (thus my tone) suffers greatly. It's frustrating. I do have decent though not perfect breath control, and perhaps here is where the answer lies?
Dear Anon,
You say that your jaw and lips get stiffer and stiffer the longer you play a phrase? That's the opposite of what they should be doing. Do you have a teacher?
There is a stage when self-teaching flutists think that they have to, at any cost, learn to play longer phrases without stopping to breathe. In an attempt to squeeze the last drop of air into a long phrase, they close their jaw and lips to pressure-push the air out through a tiny, tight embouchure. This is corrected immediately in a flute lesson, as soon as the teacher hears it. It means that the student is needing a new series of techniques, so they can eventually achieve their goal of longer phrases, but not through tightening.
So this is the exact moment to seek lessons.
Best, Jen
Hi Jen,
People have been telling me that I've been playing with the wrong embouchure yet everybody says my tone in all ranges are very nice. Should I change my "smiling" embouchure?
<<<
C4H14N3 | wB97M-V/def2-TZVPD

Electronic energy: -8837.5093 eV
Molar mass: 104.18 g mol⁻¹
HOMO: -0.472 Eh
Gap between HOMO and LUMO: 7.9422 eV
Net charge: +1
ΔE to the lowest compared entry with this formula, charge and spin: 242.5 kJ/mol
F_max: 1.64 eV Å⁻¹

Element x y z (Å)
1 N -0.087 -1.646 -0.532
2 N 1.392 1.229 -0.210
3 N -0.511 2.028 1.161
4 C -0.951 0.772 1.794
5 C 0.034 1.841 -0.156
6 C 0.238 -1.315 -1.922
7 C 0.115 -2.757 0.048
8 H 2.150 1.896 -0.223
9 H -0.554 1.142 -0.788
10 H -1.688 0.300 1.125
11 H -1.290 2.646 1.016
12 H -1.346 1.018 2.774
13 H 0.969 -0.507 -1.923
14 H 1.506 0.781 0.689
15 H -0.030 -2.834 1.116
16 H 0.081 2.785 -0.693
17 H -0.048 0.180 1.967
18 H 0.476 -3.583 -0.555
19 H 0.570 -2.221 -2.415
20 H -0.668 -0.887 -2.351
21 H -0.356 -0.869 0.078

* * * * *

Molecular formula: C20H29Br42IN5O3P2S
Method: DFT, wB97M-V/def2-TZVPD

For the HOMO-LUMO gap, the calculation gives 7.0 eV. The charge is +1. As for the molar mass: 3964.37 g/mol. The strongest force on any atom is 2.342 eV/A. For the energy, the calculation gives -110765.845948 hartree. The value obtained for the HOMO energy is -0.4135 Ha.

Each line ends with the Löwdin charge.
Cartesian coordinates (Å):
I 2.891216 0.519150 -0.587253  0.513
Br -1.077087 -6.410041 -0.216635  0.557
Br 1.122965 11.738384 3.318061  0.598
Br 0.204982 13.007607 -3.871696  0.561
Br -5.177136 1.081272 0.435725  0.595
Br -4.128719 1.526409 6.780682  0.559
Br 5.705590 5.180040 -0.295574  0.569
Br -4.546356 -8.866618 -0.771005  0.553
Br 9.710090 0.893219 -1.349411  0.566
Br 1.871600 7.568434 -2.445047  0.584
Br -9.990573 0.262654 -0.255734  0.587
Br -2.440733 2.213942 1.591010  0.566
Br 5.005136 9.137570 4.292213  0.547
Br -1.246373 -8.426438 2.243971  0.596
Br -4.886669 -1.579829 6.604515  0.523
Br 1.997133 6.945589 0.678560  0.562
Br 2.962072 13.238645 -2.316174  0.539
Br 1.005675 11.462482 0.143115  0.588
Br -0.647740 -4.234339 4.379247  0.588
Br 9.565596 -2.194867 -2.096872  0.562
Br -1.735157 -6.630020 6.161751  0.597
Br 5.799080 -7.352330 -1.664358  0.578
Br -2.777637 -14.011202 0.167963  0.557
Br -8.273760 2.886128 0.261264  0.554
Br 0.898901 15.652735 -2.245486  0.582
Br 4.375179 8.524134 -0.726512  0.559
Br -7.759897 1.146118 -2.346129  0.542
Br -3.211674 -5.936715 2.104465  0.568
Br 6.468203 2.267934 -1.309078  0.497
Br -4.935624 -10.864723 1.669141  0.551
Br -2.058110 -3.623573 7.154707  0.571
Br 6.401675 11.982803 4.675329  0.566
Br 3.797501 11.876177 1.603179  0.554
Br -5.935897 -14.336585 0.014185  0.564
Br -4.442625 -14.663378 2.797668  0.561
Br 5.087620 -5.501697 0.823262  0.568
Br 7.016693 -4.423769 -1.459713  0.520
Br -5.736986 0.138054 9.143021  0.598
Br 7.995274 3.521295 1.181093  0.599
Br 3.980919 11.127008 6.553805  0.571
Br -7.368360 -9.059914 0.688621  0.584
Br -4.147939 0.175656 3.335577  0.555
Br 7.861462 -0.078592 -3.753050  0.537
S 3.856060 -2.687054 -2.377044  0.355
P 1.977100 -2.570075 -2.602259  0.108
P 3.621245 0.552238 -2.923787  0.509
>>>
Hi Dorothy,
If your tone is "nice" that's great. But later development calls for a flexible tone with a wide range of "tone colours". If you can achieve a large range of colours, dynamics, fine-tuning of intonation etc. then whatever you're doing is working. But if you have very little flexibility, you will want to use less smiling.
Good luck, Jen